== Entries ==
____________
[1]
Below is a relaxed structure of CdHRu2W, with properties calculated at the PBE level.

Lattice parameters (Å, degrees): 4.8476 4.8476 3.3301 90.00 90.00 90.00
Last column: nearest neighbours and their distance in Å.
Atoms (fractional coordinates):
Cd1 0.0000 0.0000 0.0000  8 Ru 2.94
H1 0.5000 0.5000 0.0000  2 W 1.67
Ru1 0.0000 0.5000 0.5000  2 W 2.42
Ru2 0.5000 0.0000 0.5000  2 W 2.42
W1 0.5000 0.5000 0.5000  2 H 1.67

Calculated values
Density of states at the Fermi level, states/eV per atom: 0.661
Crystal system: tetragonal
Density, g/cm3: 10.6
DFT total energy, eV for the cell shown: -31.2
Volume, Å³/cell: 78.3

[2]
Below is a relaxed structure of V2CrNiH, with properties calculated at the PBE level.

Lattice parameters (Å, degrees): 3.8550 3.8550 3.4640 90.00 90.00 90.00
Last column: nearest neighbours and their distance in Å.
Atoms (fractional coordinates):
V1 0.0000 0.5000 0.0000  2 H 1.93
V2 0.5000 0.0000 0.0000  2 H 1.93
Cr1 0.0000 0.0000 0.5000  2 H 1.73
Ni1 0.5000 0.5000 0.5000  8 V 2.59, 4 Cr 2.73
H1 0.0000 0.0000 0.0000  2 Cr 1.73, 4 V 1.93

Calculated values
Density of states at the Fermi level, states/eV per atom: 1.145
E above lowest polymorph, eV/f.u.: 0.126
Crystal system: tetragonal
Density, g/cm3: 6.9
DFT total energy, eV for the cell shown: -37.1
Volume, Å³/cell: 51.5

[3]
Below is a relaxed structure of TbPrIrRh, with properties calculated at the PBE level.

Lattice parameters (Å, degrees): 7.0164 7.0164 7.0164 90.00 90.00 90.00
Last column: nearest neighbours and their distance in Å.
Atoms (fractional coordinates):
Tb1 0.0000 0.0000 0.0000  4 Rh 3.04, 4 Ir 3.04
Tb2 0.0000 0.5000 0.5000  4 Ir 3.04, 4 Rh 3.04
Tb3 0.5000 0.0000 0.5000  4 Ir 3.04, 4 Rh 3.04
Tb4 0.5000 0.5000 0.0000  4 Ir 3.04, 4 Rh 3.04
Pr1 0.0000 0.0000 0.5000  4 Ir 3.04, 4 Rh 3.04
Pr2 0.0000 0.5000 0.0000  4 Ir 3.04, 4 Rh 3.04
Pr3 0.5000 0.0000 0.0000  4 Ir 3.04, 4 Rh 3.04
Pr4 0.5000 0.5000 0.5000  4 Ir 3.04, 4 Rh 3.04
Ir1 0.2500 0.2500 0.7500  4 Tb 3.04, 4 Pr 3.04
Ir2 0.2500 0.7500 0.2500  4 Tb 3.04, 4 Pr 3.04
Ir3 0.7500 0.2500 0.2500  4 Tb 3.04, 4 Pr 3.04
Ir4 0.7500 0.7500 0.7500  4 Tb 3.04, 4 Pr 3.04
Rh1 0.2500 0.2500 0.2500  4 Tb 3.04, 4 Pr 3.04
Rh2 0.2500 0.7500 0.7500  4 Tb 3.04, 4 Pr 3.04
Rh3 0.7500 0.2500 0.7500  4 Tb 3.04, 4 Pr 3.04
Rh4 0.7500 0.7500 0.2500  4 Tb 3.04, 4 Pr 3.04

Calculated values
Density of states at the Fermi level, states/eV per atom: 0.435
Crystal system: cubic
Density, g/cm3: 11.4
ΔH_f (0 K), eV per formula unit: -2.74
DFT total energy, eV for the cell shown: -113.5
Volume, Å³/cell: 345.4

[4]
Below is a relaxed structure of SrCoCl2, with properties calculated at the PBE level.

Lattice parameters (Å, degrees): 3.9325 4.3334 5.1913 90.00 90.00 90.00
Last column: nearest neighbours and their distance in Å.
Atoms (fractional coordinates):
Sr1 0.0000 0.0000 0.0000  8 Cl 2.93-3.26
Co1 0.0000 0.5000 0.5000  8 Cl 2.93-3.26
Cl1 0.5000 0.0000 0.5000  4 Co 2.93, 4 Sr 3.26
Cl2 0.5000 0.5000 0.0000  4 Sr 2.93, 4 Co 3.26

Calculated values
Density of states at the Fermi level, states/eV per atom: 0.782
E above lowest polymorph, eV/f.u.: 1.243
Crystal system: orthorhombic
Raw formation energy, meV per atom: -663
Density, g/cm3: 4.1
DFT total energy, eV for the cell shown: -15.1
Volume, Å³/cell: 88.5

[5]
Below is a relaxed structure of CaBrO2, with properties calculated at the PBE level.

Lattice parameters (Å, degrees): 6.5019 3.6532 12.3919 90.00 90.00 90.00
Last column: nearest neighbours and their distance in Å.
Atoms (fractional coordinates):
Ca1 0.0854 0.2500 0.1129  5 O 2.31-2.36
Ca2 0.4146 0.7500 0.6129  5 O 2.31-2.36
Ca3 0.5854 0.2500 0.3871  5 O 2.31-2.36
Ca4 0.9146 0.7500 0.8871  5 O 2.31-2.36
____________

== Wanted ==
Search the rows above for the word "V2CrNiH" and duplicate each line that has it.

== Solution ==
Below is a relaxed structure of V2CrNiH, with properties calculated at the PBE level.